OVER THE past decade or so geographers have become increasingly aware of the potential explanatory and predictive power of theories of location and of spatial evolution. These theories imply the existence of some rational and discernible pattern in spatial distributions of human activity and, in many cases, enable us to generate an 'ideal' landscape. The verification and modification of such theories requires some adequate means of testing these 'ideal' patterns against the real world. Such testing has proved difficult for a number of reasons. In human geography it is clear that the real world pattern is usually the result of highly complex interacting processes, not all of which can be interpreted very easily in terms of some simple system or theory. Most location theories incorporate normative notions-profit maximization, for example-which allow little concession to the inadequacies of the decision-making process in the real world, and even if they did there is plenty of evidence to show that profit maximization on the part of the individual does not necessarily lead to the optimal use of space from the point of view of society as a whole. H. Hotelling's (1957) example of two ice-cream sellers on a beach is a simple example. A. Losch's (1954) system may be similarly criticized, for, although it indicates an optimal solution for society as a whole, it does not follow that this solution will emerge from competition among individual entrepreneurs whose sole aim is profit maximization. If we imagine 'economic man' setting off on some optimizing path with respect to location, we may treat this path, at its simplest, as a movement in which the cost of searching out and moving to a 'better' location are substituted against the benefits to be obtained from moving. If the process is continuous we may expect movement to cease at that point where the marginal cost of moving equals the marginal revenue from moving to the better location. Even assuming perfect knowledge on the part of the individual, this point will be short of the optimum. As R. Radner (1964) has pointed out: Most practical applications of optimising procedures would appear to involve stopping short of the optimum and accepting a less than optimal decision because of cost or feasibility considerations that have not been expressed in the formal representation of the decision problem.
David A. Evans.
Jerzy Neyman,et al.
On a New Class of "Contagious" Distributions, Applicable in Entomology and Bacteriology
R. L. Miller,et al.
_Attached: records of molecules_
- - -
(1)
{
  "formula": "C29H40N2O5PPdSSi",
  "method": "ωB97M-V/def2-TZVPD",
  "total_charge": -1,
  "homo_ev": -4.41,
  "symbols": ["Pd", "S", "P", "Si", "O", "O", "O", "O", "O", "N", "N", "C", "C", "C", "C", "C", "C", "C", "C", "C", "C", "C", "C", "C", "C", "C", "C", "C", "C", "C", "C", "C", "C", "C", "C", "C", "C", "C", "C", "C", "H", "H", "H", "H", "H", "H", "H", "H", "H", "H", "H", "H", "H", "H", "H", "H", "H", "H", "H", "H", "H", "H", "H", "H", "H", "H", "H", "H", "H", "H", "H", "H", "H", "H", "H", "H", "H", "H", "H", "H"],
  "positions_angstrom": [[0.25, 0.16, -0.25], [2.98, 0.13, -4.80], [-1.26, -0.37, 1.48], [2.06, -1.00, 0.32], [-0.90, 5.28, -3.26], [-1.34, 0.77, -1.80], [1.75, 3.94, -3.28], [-2.88, 3.10, -2.85], [1.30, 1.64, -1.29], [0.57, -0.58, -3.94], [0.64, 1.16, -5.45], [1.32, 0.26, -4.71], [0.47, 2.31, -2.00], [-0.89, 1.92, -2.15], [1.73, -2.83, -0.13], [3.52, -0.44, -0.72], [-0.28, 1.58, 3.14], [-3.71, -0.04, 0.02], [2.63, -0.81, 2.12], [0.72, 3.51, -2.80], [0.21, -3.40, 3.85], [-2.78, 1.57, 3.07], [5.44, -0.88, -2.14], [5.06, 1.34, -1.30], [-0.03, -2.51, 2.81], [5.83, 0.45, -2.04], [-1.67, 3.04, -2.68], [-0.48, -3.28, 5.04], [-0.97, -1.50, 2.91], [-2.90, -1.07, 0.82], [-3.81, -1.65, 1.91], [-1.49, 2.38, 1.13], [4.29, -1.31, -1.49], [-1.67, -1.40, 4.12], [-2.47, -2.20, -0.12], [-1.42, -2.27, 5.17], [-1.50, 1.34, 2.25], [-0.80, 1.23, -5.53], [-0.66, 4.13, -2.97], [3.93, 0.90, -0.64], [-4.72, -2.01, 1.42], [-1.93, -2.99, 0.41], [-0.27, 2.63, 3.44], [-2.33, 2.28, 0.44], [-0.29, 0.97, 4.04], [-0.29, -3.96, 5.86], [-3.37, -2.66, -0.56], [2.36, -3.51, 0.46], [1.21, 1.90, -5.81], [6.71, 0.79, -2.56], [5.35, 2.38, -1.25], [3.32, 1.61, -0.10], [3.05, 0.20, 2.22], [-0.33, -0.27, -3.58], [-4.10, -0.91, 2.65], [-1.28, 1.55, -4.60], [1.98, -3.00, -1.18], [1.83, -0.92, 2.85], [-2.43, -0.65, 4.25], [0.54, -2.61, 1.90], [-4.52, -0.58, -0.47], [-1.21, 0.26, -5.82], [-2.83, 2.64, 3.30], [-1.56, 3.37, 1.59], [-1.85, -1.83, -0.93], [-3.68, 1.32, 2.52], [4.00, -2.35, -1.60], [-3.12, 0.43, -0.76], [0.96, -4.18, 3.72], [-2.79, 1.04, 4.02], [0.69, -3.12, -0.01], [0.65, 1.38, 2.60], [3.43, -1.51, 2.36], [1.10, -1.13, -3.30], [-1.98, -2.16, 6.09], [-4.16, 0.72, 0.65], [6.01, -1.57, -2.74], [-1.06, 1.95, -6.30], [-3.35, -2.50, 2.42], [-0.56, 2.37, 0.55]],
  "mulliken_charge": [0.2746, -0.3851, 0.7845, 1.3693, -0.6497, -1.4395, -0.6923, -0.7454, -0.3524, -0.3410, -0.0481, 0.1431, 0.0731, 1.7252, -1.4432, 0.6547, -1.7689, -1.7605, -1.3086, -0.2736, -0.6776, -1.8305, -0.6075, -0.5729, -0.6256, -0.4766, -0.0954, -0.6910, 1.0644, 2.4190, -2.0002, -2.4130, -0.0383, -0.2839, -1.7482, -0.8299, 2.1469, -0.8595, 0.3891, -0.7046, 0.5995, 0.2833, 0.5593, 0.4092, 0.3065, 0.3613, 0.5417, 0.3634, 0.2473, 0.3465, 0.3778, 0.0745, 0.3887, 0.2118, 0.2597, 0.2525, 0.4056, 0.3759, 0.1574, 0.5110, 0.5945, 0.3204, 0.5359, 0.6694, 0.0705, 0.2506, 0.2324, 0.1164, 0.4476, 0.3898, 0.3079, 0.0452, 0.4061, 0.1298, 0.4522, 0.2624, 0.3550, 0.3444, 0.3305, 0.3254]
}

(2)
{
- - -
Statistical Analysis in the Geological Sciences.
Anscombe Fj.
The statistical analysis of insect counts based on the negative binomial distribution.
Roy Radner.
D. Kendall,et al.
On some modes of population growth leading to R. A. Fisher's logarithmic series distribution.